Material =
-- begin --
[1]
Formula: C5H7NO
Source: OMol25
Level of theory: wB97M-V/def2-TZVPD

Its HOMO energy (alpha / beta) is -9.14 / -9.14 eV. The relative energy (zero: lowest compared OMol25 entry of this formula, charge and spin) is 5.023 eV. As for the SMILES: CC1=C(N=O)[C@@H]1C. For the molar mass, the calculation gives 97.12 g mol⁻¹.

Last column: natural (NBO) charge in e.
Element x y z (Å)
C (1.9542, -0.3207, -0.5122)  -0.67
C (0.6235, 0.2218, -0.1760)  0.13
C (-0.1300, 1.0356, 0.5035)  0.00
N (-0.2382, 1.9939, 1.5366)  0.12
O (0.7112, 1.9485, 2.2941)  -0.28
C (-0.8565, 0.2293, -0.5159)  -0.22
C (-1.7709, -0.8927, -0.0543)  -0.62
H (2.6761, -0.0872, 0.2744)  0.24
H (2.3104, 0.1131, -1.4542)  0.24
H (1.9039, -1.4050, -0.6514)  0.24
H (-1.1578, 0.6870, -1.4655)  0.18
H (-1.4509, -1.2557, 0.9287)  0.21
H (-2.8000, -0.5288, 0.0417)  0.22
H (-1.7749, -1.7392, -0.7496)  0.21

---

[2]
Formula: C12H27As3BF2RuS3
Source: OMol25
Level of theory: wB97M-V/def2-TZVPD

Its HOMO energy is -11.15 eV. The relative energy (zero: lowest compared OMol25 entry of this formula, charge and spin) is 0.000 eV. The total charge is +1. For the molar mass, the calculation gives 642.19 g mol⁻¹.

Last column: natural (NBO) charge in e.
Element x y z (Å)
Ru (0.9155, -1.9714, 1.4247)  -0.22
C (2.5706, 1.2344, 2.1609)  -0.95
As (1.9872, 0.0522, 0.7406)  1.29
C (3.6557, -0.2678, -0.1840)  -0.95
C (1.0308, 1.1307, -0.5641)  -0.73
C (-0.4194, 1.5403, -0.2691)  -0.06
C (-0.4888, 2.3243, 1.0442)  -0.62
C (-1.3662, 0.3380, -0.2188)  -0.74
As (-1.1994, -0.9684, 1.2134)  1.35
C (-2.0017, -0.2250, 2.8117)  -0.96
C (-2.5246, -2.2570, 0.6460)  -0.95
C (-0.8825, 2.4885, -1.3949)  -0.73
As (-1.1970, 2.0128, -3.3110)  0.91
C (-2.8862, 1.0232, -3.1426)  -0.96
C (-0.0448, 0.4646, -3.6950)  -0.97
H (1.7724, 1.4207, 2.8736)  0.24
H (2.9099, 2.1785, 1.7372)  0.25
H (3.4028, 0.7502, 2.6710)  0.25
H (4.1516, 0.6849, -0.3652)  0.25
H (3.4533, -0.7627, -1.1313)  0.26
H (4.2962, -0.8983, 0.4306)  0.25
H (1.0897, 0.5492, -1.4833)  0.26
H (1.6383, 2.0292, -0.7040)  0.24
H (-0.1683, 1.7228, 1.8970)  0.19
H (-1.5083, 2.6604, 1.2416)  0.23
H (0.1514, 3.2073, 1.0016)  0.23
H (-1.2651, -0.2578, -1.1279)  0.25
H (-2.4012, 0.6877, -0.1761)  0.24
H (-2.9163, 0.3053, 2.5502)  0.25
H (-1.3167, 0.4506, 3.3164)  0.24
H (-2.2439, -1.0496, 3.4812)  0.25
H (-3.4625, -1.7441, 0.4356)  0.24
H (-2.6804, -2.9904, 1.4342)  0.25
H (-2.1666, -2.7604, -0.2503)  0.26
H (-0.1827, 3.3278, -1.4330)  0.23
H (-1.8449, 2.9236, -1.1048)  0.23
H (-3.6212, 1.6500, -2.6376)  0.23
H (-2.7905, 0.0755, -2.6148)  0.20
H (-3.2543, 0.8224, -4.1480)  0.24
H (1.0011, 0.7650, -3.7466)  0.23
H (-0.3359, 0.1291, -4.6908)  0.25
H (-0.1544, -0.3773, -3.0108)  0.21
S (-0.0199, -4.1789, 2.5652)  0.27
C (0.6354, -2.8926, 3.2123)  -0.42
S (1.3081, -1.6111, 3.8659)  0.28
S (0.9465, -2.6260, -0.8425)  -0.34
F (3.1691, -4.2983, -1.0842)  -0.46
B (2.4161, -3.5064, -0.3621)  1.02
F (2.8419, -3.3060, 0.9377)  -0.50

---

[3]
Formula: C3H3N3O
Source: OMol25
Level of theory: wB97M-V/def2-TZVPD

Its HOMO energy (alpha / beta) is -11.31 / -11.55 eV. The relative energy (zero: lowest compared OMol25 entry of this formula, charge and spin) is 6.494 eV. For the molar mass, the calculation gives 97.08 g mol⁻¹.

Last column: natural (NBO) charge in e.
Element x y z (Å)
C (-1.6354, -1.3768, -0.0218)  0.27
C (-0.8167, 1.4180, 0.1321)  0.35
C (1.1259, -0.0172, 0.3456)  0.06
N (-2.4013, -2.2127, -0.2194)  -0.43
N (-1.4552, 2.3457, -0.1292)  -0.22
N (-0.1732, 0.4015, 0.6636)  -0.29
O (1.4776, -0.1147, -0.9693)  -0.70
H (1.4193, -1.0329, 0.8003)  0.22
H (1.7501, 0.8000, 0.9493)  0.24
H (0.7090, -0.2110, -1.5511)  0.49

---

[4]
Formula: C3H7N3S2
Source: OMol25
Level of theory: wB97M-V/def2-TZVPD

Its HOMO energy is -8.32 eV. The relative energy (zero: lowest compared OMol25 entry of this formula, charge and spin) is 2.288 eV. As for the SMILES: CN(/C=N\S)/C=N\S. For the molar mass, the calculation gives 149.24 g mol⁻¹.

Last column: natural (NBO) charge in e.
-- stop --
Assignment =
Could you duplicate all of the block further above exactly?
Response =
[1]
Formula: C5H7NO
Source: OMol25
Level of theory: wB97M-V/def2-TZVPD

Its HOMO energy (alpha / beta) is -9.14 / -9.14 eV. The relative energy (zero: lowest compared OMol25 entry of this formula, charge and spin) is 5.023 eV. As for the SMILES: CC1=C(N=O)[C@@H]1C. For the molar mass, the calculation gives 97.12 g mol⁻¹.

Last column: natural (NBO) charge in e.
Element x y z (Å)
C (1.9542, -0.3207, -0.5122)  -0.67
C (0.6235, 0.2218, -0.1760)  0.13
C (-0.1300, 1.0356, 0.5035)  0.00
N (-0.2382, 1.9939, 1.5366)  0.12
O (0.7112, 1.9485, 2.2941)  -0.28
C (-0.8565, 0.2293, -0.5159)  -0.22
C (-1.7709, -0.8927, -0.0543)  -0.62
H (2.6761, -0.0872, 0.2744)  0.24
H (2.3104, 0.1131, -1.4542)  0.24
H (1.9039, -1.4050, -0.6514)  0.24
H (-1.1578, 0.6870, -1.4655)  0.18
H (-1.4509, -1.2557, 0.9287)  0.21
H (-2.8000, -0.5288, 0.0417)  0.22
H (-1.7749, -1.7392, -0.7496)  0.21

---

[2]
Formula: C12H27As3BF2RuS3
Source: OMol25
Level of theory: wB97M-V/def2-TZVPD

Its HOMO energy is -11.15 eV. The relative energy (zero: lowest compared OMol25 entry of this formula, charge and spin) is 0.000 eV. The total charge is +1. For the molar mass, the calculation gives 642.19 g mol⁻¹.

Last column: natural (NBO) charge in e.
Element x y z (Å)
Ru (0.9155, -1.9714, 1.4247)  -0.22
C (2.5706, 1.2344, 2.1609)  -0.95
As (1.9872, 0.0522, 0.7406)  1.29
C (3.6557, -0.2678, -0.1840)  -0.95
C (1.0308, 1.1307, -0.5641)  -0.73
C (-0.4194, 1.5403, -0.2691)  -0.06
C (-0.4888, 2.3243, 1.0442)  -0.62
C (-1.3662, 0.3380, -0.2188)  -0.74
As (-1.1994, -0.9684, 1.2134)  1.35
C (-2.0017, -0.2250, 2.8117)  -0.96
C (-2.5246, -2.2570, 0.6460)  -0.95
C (-0.8825, 2.4885, -1.3949)  -0.73
As (-1.1970, 2.0128, -3.3110)  0.91
C (-2.8862, 1.0232, -3.1426)  -0.96
C (-0.0448, 0.4646, -3.6950)  -0.97
H (1.7724, 1.4207, 2.8736)  0.24
H (2.9099, 2.1785, 1.7372)  0.25
H (3.4028, 0.7502, 2.6710)  0.25
H (4.1516, 0.6849, -0.3652)  0.25
H (3.4533, -0.7627, -1.1313)  0.26
H (4.2962, -0.8983, 0.4306)  0.25
H (1.0897, 0.5492, -1.4833)  0.26
H (1.6383, 2.0292, -0.7040)  0.24
H (-0.1683, 1.7228, 1.8970)  0.19
H (-1.5083, 2.6604, 1.2416)  0.23
H (0.1514, 3.2073, 1.0016)  0.23
H (-1.2651, -0.2578, -1.1279)  0.25
H (-2.4012, 0.6877, -0.1761)  0.24
H (-2.9163, 0.3053, 2.5502)  0.25
H (-1.3167, 0.4506, 3.3164)  0.24
H (-2.2439, -1.0496, 3.4812)  0.25
H (-3.4625, -1.7441, 0.4356)  0.24
H (-2.6804, -2.9904, 1.4342)  0.25
H (-2.1666, -2.7604, -0.2503)  0.26
H (-0.1827, 3.3278, -1.4330)  0.23
H (-1.8449, 2.9236, -1.1048)  0.23
H (-3.6212, 1.6500, -2.6376)  0.23
H (-2.7905, 0.0755, -2.6148)  0.20
H (-3.2543, 0.8224, -4.1480)  0.24
H (1.0011, 0.7650, -3.7466)  0.23
H (-0.3359, 0.1291, -4.6908)  0.25
H (-0.1544, -0.3773, -3.0108)  0.21
S (-0.0199, -4.1789, 2.5652)  0.27
C (0.6354, -2.8926, 3.2123)  -0.42
S (1.3081, -1.6111, 3.8659)  0.28
S (0.9465, -2.6260, -0.8425)  -0.34
F (3.1691, -4.2983, -1.0842)  -0.46
B (2.4161, -3.5064, -0.3621)  1.02
F (2.8419, -3.3060, 0.9377)  -0.50

---

[3]
Formula: C3H3N3O
Source: OMol25
Level of theory: wB97M-V/def2-TZVPD

Its HOMO energy (alpha / beta) is -11.31 / -11.55 eV. The relative energy (zero: lowest compared OMol25 entry of this formula, charge and spin) is 6.494 eV. For the molar mass, the calculation gives 97.08 g mol⁻¹.

Last column: natural (NBO) charge in e.
Element x y z (Å)
C (-1.6354, -1.3768, -0.0218)  0.27
C (-0.8167, 1.4180, 0.1321)  0.35
C (1.1259, -0.0172, 0.3456)  0.06
N (-2.4013, -2.2127, -0.2194)  -0.43
N (-1.4552, 2.3457, -0.1292)  -0.22
N (-0.1732, 0.4015, 0.6636)  -0.29
O (1.4776, -0.1147, -0.9693)  -0.70
H (1.4193, -1.0329, 0.8003)  0.22
H (1.7501, 0.8000, 0.9493)  0.24
H (0.7090, -0.2110, -1.5511)  0.49

---

[4]
Formula: C3H7N3S2
Source: OMol25
Level of theory: wB97M-V/def2-TZVPD

Its HOMO energy is -8.32 eV. The relative energy (zero: lowest compared OMol25 entry of this formula, charge and spin) is 2.288 eV. As for the SMILES: CN(/C=N\S)/C=N\S. For the molar mass, the calculation gives 149.24 g mol⁻¹.

Last column: natural (NBO) charge in e.